# File
┌──
Dy2Ti2O7: optimized geometry, PBE-GGA.

Properties
ΔE_f	-3.77	eV per atom
SG	Fd-3m (227)

Lattice parameters (Å, degrees): 7.1914 7.1914 7.1914 60.00 60.00 60.00
Fractional coordinates of all 22 atoms:
Dy 0.0000 0.0000 0.0000
Dy 0.0000 0.0000 0.5000
Dy 0.0000 0.5000 0.0000
Dy 0.5000 0.0000 0.0000
Ti 0.0000 0.5000 0.5000
Ti 0.5000 0.0000 0.5000
Ti 0.5000 0.5000 0.0000
Ti 0.5000 0.5000 0.5000
O 0.1250 0.1250 0.1250
O 0.1698 0.1698 0.5802
O 0.1698 0.5802 0.1698
O 0.1698 0.5802 0.5802
O 0.4198 0.4198 0.8302
O 0.4198 0.8302 0.4198
O 0.4198 0.8302 0.8302
O 0.5802 0.1698 0.1698
O 0.5802 0.1698 0.5802
O 0.5802 0.5802 0.1698
O 0.8302 0.4198 0.4198
O 0.8302 0.4198 0.8302
O 0.8302 0.8302 0.4198
O 0.8750 0.8750 0.8750

=====

Dy2Ti2O7: optimized geometry, PBE-GGA.

Properties
ΔE_f	-3.75	eV per atom
SG	C2/m (12)

Lattice parameters (Å, degrees): 7.2425 7.2425 23.7753 99.23 99.23 59.61
Fractional coordinates of all 88 atoms:
Dy 0.0000 0.0000 0.0000
Dy 0.1250 0.6246 0.8757
Dy 0.1258 0.1258 0.8756
Dy 0.1338 0.6394 0.3706
Dy 0.1405 0.1405 0.3869
Dy 0.2567 0.2567 0.7502
Dy 0.3606 0.8662 0.6294
Dy 0.3754 0.8750 0.1243
Dy 0.5000 0.5000 0.5000
Dy 0.6246 0.1250 0.8757
Dy 0.6394 0.1338 0.3706
Dy 0.7433 0.7433 0.2498
Dy 0.8595 0.8595 0.6131
Dy 0.8662 0.3606 0.6294
Dy 0.8742 0.8742 0.1244
Dy 0.8750 0.3754 0.1243
Ti 0.0000 0.0000 0.5000
Ti 0.0000 0.5000 0.0000
Ti 0.0000 0.5000 0.5000
Ti 0.2361 0.7505 0.7485
Ti 0.2495 0.7639 0.2515
Ti 0.2601 0.2601 0.2512
Ti 0.3720 0.3720 0.6311
Ti 0.3779 0.3779 0.1265
Ti 0.5000 0.0000 0.0000
Ti 0.5000 0.0000 0.5000
Ti 0.5000 0.5000 0.0000
Ti 0.6221 0.6221 0.8735
Ti 0.6280 0.6280 0.3689
Ti 0.7399 0.7399 0.7488
Ti 0.7505 0.2361 0.7485
Ti 0.7639 0.2495 0.2515
O 0.0154 0.0154 0.5818
O 0.0305 0.0305 0.0942
O 0.0543 0.0543 0.7701
O 0.0570 0.6513 0.7687
O 0.0871 0.4992 0.0828
O 0.1152 0.4988 0.5827
O 0.1170 0.6772 0.4843
O 0.1448 0.5637 0.2676
O 0.1729 0.7504 0.6680
O 0.1891 0.6007 0.9798
O 0.1899 0.1899 0.9800
O 0.2226 0.2226 0.6581
O 0.2496 0.8271 0.3320
O 0.2542 0.2542 0.1684
O 0.2593 0.2593 0.4740
O 0.2588 0.6608 0.1682
O 0.2738 0.2738 0.3395
O 0.2810 0.2810 0.8446
O 0.3228 0.8830 0.5157
O 0.3392 0.7412 0.8318
O 0.3487 0.9430 0.2313
O 0.3993 0.8109 0.0202
O 0.4299 0.4299 0.7233
O 0.4363 0.8552 0.7324
O 0.4940 0.4940 0.4042
O 0.4980 0.4980 0.0824
O 0.4992 0.0871 0.0828
O 0.4988 0.1152 0.5827
O 0.5012 0.8848 0.4173
O 0.5008 0.9129 0.9172
O 0.5020 0.5020 0.9176
O 0.5060 0.5060 0.5958
O 0.5637 0.1448 0.2676
O 0.5701 0.5701 0.2767
O 0.6007 0.1891 0.9798
O 0.6513 0.0570 0.7687
O 0.6608 0.2588 0.1682
O 0.6772 0.1170 0.4843
O 0.7190 0.7190 0.1554
O 0.7262 0.7262 0.6605
O 0.7412 0.3392 0.8318
O 0.7407 0.7407 0.5260
O 0.7458 0.7458 0.8316
O 0.7504 0.1729 0.6680
O 0.7774 0.7774 0.3419
O 0.8101 0.8101 0.0200
O 0.8109 0.3993 0.0202
O 0.8271 0.2496 0.3320
O 0.8552 0.4363 0.7324
O 0.8830 0.3228 0.5157
O 0.8848 0.5012 0.4173
O 0.9129 0.5008 0.9172
O 0.9430 0.3487 0.2313
O 0.9457 0.9457 0.2299
O 0.9695 0.9695 0.9058
O 0.9846 0.9846 0.4182

=====

Dy2Ti2O7: optimized geometry, PBE-GGA.

Properties
ΔE_f	-3.42	eV per atom
SG	Imma (74)

Lattice parameters (Å, degrees): 7.2495 7.2495 7.2495 122.65 118.67 88.89
Fractional coordinates of all 22 atoms:
Dy 0.0000 0.0000 0.5000
Dy 0.0000 0.5000 0.0000
Dy 0.5000 0.0000 0.0000
Dy 0.5000 0.5000 0.5000
Ti 0.0000 0.0000 0.0000
Ti 0.0000 0.5000 0.5000
Ti 0.5000 0.0000 0.5000
Ti 0.5000 0.5000 0.0000
O 0.1096 0.3451 0.2141
O 0.1096 0.8955 0.7645
O 0.1355 0.3855 0.7500
O 0.2992 0.0492 0.2500
O 0.3662 0.6162 0.7500
O 0.3689 0.1045 0.7141
O 0.3689 0.6549 0.2645
O 0.6311 0.3451 0.7355
O 0.6311 0.8955 0.2859
O 0.6338 0.3838 0.2500
O 0.7008 0.9508 0.7500
O 0.8645 0.6145 0.2500
O 0.8904 0.1045 0.2355
O 0.8904 0.6549 0.7859

=====

Dy2TiO5: optimized geometry, PBE-GGA.

Properties
ΔE_f	-3.69	eV per atom
SG	P1 (1)
offset from the most stable computed form	198	meV/atom

Lattice parameters (Å, degrees): 7.3752 7.4869 12.4771 91.14 106.43 118.27
Fractional coordinates of all 40 atoms:
Dy 0.0000 0.0000 0.0000
└──

# Job
The reader should find the line further above that holds "-3.75", then write out that line and all lines after it there.

# Solution
ΔE_f	-3.75	eV per atom
SG	C2/m (12)

Lattice parameters (Å, degrees): 7.2425 7.2425 23.7753 99.23 99.23 59.61
Fractional coordinates of all 88 atoms:
Dy 0.0000 0.0000 0.0000
Dy 0.1250 0.6246 0.8757
Dy 0.1258 0.1258 0.8756
Dy 0.1338 0.6394 0.3706
Dy 0.1405 0.1405 0.3869
Dy 0.2567 0.2567 0.7502
Dy 0.3606 0.8662 0.6294
Dy 0.3754 0.8750 0.1243
Dy 0.5000 0.5000 0.5000
Dy 0.6246 0.1250 0.8757
Dy 0.6394 0.1338 0.3706
Dy 0.7433 0.7433 0.2498
Dy 0.8595 0.8595 0.6131
Dy 0.8662 0.3606 0.6294
Dy 0.8742 0.8742 0.1244
Dy 0.8750 0.3754 0.1243
Ti 0.0000 0.0000 0.5000
Ti 0.0000 0.5000 0.0000
Ti 0.0000 0.5000 0.5000
Ti 0.2361 0.7505 0.7485
Ti 0.2495 0.7639 0.2515
Ti 0.2601 0.2601 0.2512
Ti 0.3720 0.3720 0.6311
Ti 0.3779 0.3779 0.1265
Ti 0.5000 0.0000 0.0000
Ti 0.5000 0.0000 0.5000
Ti 0.5000 0.5000 0.0000
Ti 0.6221 0.6221 0.8735
Ti 0.6280 0.6280 0.3689
Ti 0.7399 0.7399 0.7488
Ti 0.7505 0.2361 0.7485
Ti 0.7639 0.2495 0.2515
O 0.0154 0.0154 0.5818
O 0.0305 0.0305 0.0942
O 0.0543 0.0543 0.7701
O 0.0570 0.6513 0.7687
O 0.0871 0.4992 0.0828
O 0.1152 0.4988 0.5827
O 0.1170 0.6772 0.4843
O 0.1448 0.5637 0.2676
O 0.1729 0.7504 0.6680
O 0.1891 0.6007 0.9798
O 0.1899 0.1899 0.9800
O 0.2226 0.2226 0.6581
O 0.2496 0.8271 0.3320
O 0.2542 0.2542 0.1684
O 0.2593 0.2593 0.4740
O 0.2588 0.6608 0.1682
O 0.2738 0.2738 0.3395
O 0.2810 0.2810 0.8446
O 0.3228 0.8830 0.5157
O 0.3392 0.7412 0.8318
O 0.3487 0.9430 0.2313
O 0.3993 0.8109 0.0202
O 0.4299 0.4299 0.7233
O 0.4363 0.8552 0.7324
O 0.4940 0.4940 0.4042
O 0.4980 0.4980 0.0824
O 0.4992 0.0871 0.0828
O 0.4988 0.1152 0.5827
O 0.5012 0.8848 0.4173
O 0.5008 0.9129 0.9172
O 0.5020 0.5020 0.9176
O 0.5060 0.5060 0.5958
O 0.5637 0.1448 0.2676
O 0.5701 0.5701 0.2767
O 0.6007 0.1891 0.9798
O 0.6513 0.0570 0.7687
O 0.6608 0.2588 0.1682
O 0.6772 0.1170 0.4843
O 0.7190 0.7190 0.1554
O 0.7262 0.7262 0.6605
O 0.7412 0.3392 0.8318
O 0.7407 0.7407 0.5260
O 0.7458 0.7458 0.8316
O 0.7504 0.1729 0.6680
O 0.7774 0.7774 0.3419
O 0.8101 0.8101 0.0200
O 0.8109 0.3993 0.0202
O 0.8271 0.2496 0.3320
O 0.8552 0.4363 0.7324
O 0.8830 0.3228 0.5157
O 0.8848 0.5012 0.4173
O 0.9129 0.5008 0.9172
O 0.9430 0.3487 0.2313
O 0.9457 0.9457 0.2299
O 0.9695 0.9695 0.9058
O 0.9846 0.9846 0.4182

=====

Dy2Ti2O7: optimized geometry, PBE-GGA.

Properties
ΔE_f	-3.42	eV per atom
SG	Imma (74)

Lattice parameters (Å, degrees): 7.2495 7.2495 7.2495 122.65 118.67 88.89
Fractional coordinates of all 22 atoms:
Dy 0.0000 0.0000 0.5000
Dy 0.0000 0.5000 0.0000
Dy 0.5000 0.0000 0.0000
Dy 0.5000 0.5000 0.5000
Ti 0.0000 0.0000 0.0000
Ti 0.0000 0.5000 0.5000
Ti 0.5000 0.0000 0.5000
Ti 0.5000 0.5000 0.0000
O 0.1096 0.3451 0.2141
O 0.1096 0.8955 0.7645
O 0.1355 0.3855 0.7500
O 0.2992 0.0492 0.2500
O 0.3662 0.6162 0.7500
O 0.3689 0.1045 0.7141
O 0.3689 0.6549 0.2645
O 0.6311 0.3451 0.7355
O 0.6311 0.8955 0.2859
O 0.6338 0.3838 0.2500
O 0.7008 0.9508 0.7500
O 0.8645 0.6145 0.2500
O 0.8904 0.1045 0.2355
O 0.8904 0.6549 0.7859

=====

Dy2TiO5: optimized geometry, PBE-GGA.

Properties
ΔE_f	-3.69	eV per atom
SG	P1 (1)
offset from the most stable computed form	198	meV/atom

Lattice parameters (Å, degrees): 7.3752 7.4869 12.4771 91.14 106.43 118.27
Fractional coordinates of all 40 atoms:
Dy 0.0000 0.0000 0.0000